Work order
Work out how many lines underneath have the word "Si3" in them; a number is enough.

Source
- - -
Density functional theory data (meta-GGA r2SCAN) for a relaxed structure of CePd3. Values from VASP.

Calculated values
Calculated total energy in eV per atom: -25.75
Calculated formation energy in eV/atom: -0.8212

```
&SYSTEM
  ibrav = 0, nat = 4, ntyp = 2
/
ATOMIC_SPECIES
Ce 140.12 Ce.upf
Pd 106.42 Pd.upf
CELL_PARAMETERS angstrom
4.1387 0.0000 0.0000
0.0000 4.1387 0.0000
0.0000 0.0000 4.1387
ATOMIC_POSITIONS angstrom
Ce 0.0000 0.0000 0.0000
Pd 0.0000 2.0694 2.0694
Pd 2.0694 0.0000 2.0694
Pd 2.0694 2.0694 0.0000
```

* * * * *

PaC2 | Materials Project | r2SCAN | relaxed; E_form = -112 kJ/mol of formula units; final energy = -32.64 eV per atom; calculated density = 10.6 g/cm³; total magnetic moment = 0.0 μB per cell
1.0
-1.811 1.811 3.046
1.811 -1.811 3.046
1.811 1.811 -3.046
Pa C
1 2
Direct
0.000 0.000 0.000
0.388 0.388 0.000
0.612 0.612 0.000

* * * * *

# 1
# Na2Ta6Al2Si7S5O48 PBE relaxed
data_Na2Ta6Al2Si7S5O48
_chemical_formula_sum 'Na6 Ta18 Al6 Si21 S15 O144'
_symmetry_space_group_name_H-M 'P 1'
_symmetry_Int_Tables_number 1
_cell_length_a 8.7820
_cell_length_b 15.1898
_cell_length_c 22.6532
_cell_angle_alpha 89.99
_cell_angle_beta 89.95
_cell_angle_gamma 89.98
loop_
_symmetry_equiv_pos_as_xyz
'x,y,z'
loop_
_atom_site_label
_atom_site_fract_x
_atom_site_fract_y
_atom_site_fract_z
Na1 0.0000 0.0000 0.0000
Na2 0.0009 0.3265 0.8425
Na3 0.5014 0.4992 0.5040
Na4 0.5067 0.8275 0.3484
Na5 0.5117 0.8348 0.8393
Na6 0.9944 0.3336 0.3453
Ta1 0.9997 0.9970 0.6483
Ta2 0.0026 0.6676 0.5319
Ta3 0.0036 0.6729 0.0286
Ta4 0.0038 0.6756 0.8135
Ta5 0.0117 0.9991 0.3678
Ta6 0.0131 0.3281 0.1990
Ta7 0.0161 0.3345 0.4825
Ta8 0.0182 0.3312 0.6967
Ta9 0.4952 0.8268 0.1998
Ta10 0.4957 0.8277 0.6973
Ta11 0.4994 0.4990 0.8652
Ta12 0.4995 0.8298 0.9802
Ta13 0.5038 0.1763 0.3153
Ta14 0.5074 0.1727 0.0285
Ta15 0.5068 0.1753 0.5294
Ta16 0.5066 0.4960 0.1487
Ta17 0.5232 0.1691 0.8172
Ta18 0.9858 0.6706 0.3195
Al1 0.0060 0.3306 0.9876
Al2 0.0149 0.9975 0.1620
Al3 0.4709 0.4945 0.6561
Al4 0.5035 0.8286 0.4885
Al5 0.5331 0.4979 0.3645
Al6 0.9739 0.9977 0.8629
Si1 0.1376 0.8193 0.9204
Si2 0.1398 0.8583 0.2559
Si3 0.1473 0.1351 0.2561
Si4 0.1472 0.1884 0.5892
Si5 0.1563 0.4776 0.5916
Si6 0.2265 0.8348 0.5848
Si7 0.2806 0.3334 0.0855
Si8 0.3600 0.6885 0.0903
Si9 0.3626 0.6363 0.7559
Si10 0.3652 0.3579 0.7562
Si11 0.3684 0.3200 0.4209
Si12 0.6390 0.6342 0.2608
Si13 0.6491 0.3629 0.2587
Si14 0.6525 0.0261 0.9244
Si15 0.6670 0.3119 0.9255
Si16 0.7206 0.6629 0.9238
Si17 0.7894 0.1661 0.4243
Si18 0.8424 0.8106 0.4282
Si19 0.8548 0.5252 0.4244
Si20 0.8574 0.8636 0.7584
Si21 0.8742 0.1383 0.7604
S1 0.1414 0.5201 0.9250
S2 0.2129 0.1678 0.9247
S3 0.2212 0.5010 0.2587
S4 0.2869 0.0007 0.7588
S5 0.2947 0.6671 0.4245
S6 0.3538 0.9773 0.0914
S7 0.3682 0.0206 0.4252
S8 0.6430 0.6874 0.5902
S9 0.6430 0.9744 0.5884
S10 0.7162 0.3386 0.5918
S11 0.7229 0.0001 0.2554
S12 0.7852 0.4997 0.7559
S13 0.7939 0.8392 0.0916
S14 0.8653 0.1860 0.0905
S15 0.8646 0.4742 0.0885
O1 0.0660 0.0962 0.3151
O2 0.0663 0.8993 0.1975
O3 0.0674 0.2350 0.5332
O4 0.0688 0.7659 0.9798
O5 0.0719 0.4311 0.6489
O6 0.0729 0.9164 0.9138
O7 0.0738 0.0933 0.6013
O8 0.0749 0.5597 0.8720
O9 0.0757 0.4319 0.9333
O10 0.0758 0.5726 0.5802
O11 0.0766 0.2379 0.2499
O12 0.0842 0.7585 0.2694
O13 0.1102 0.0841 0.1963
O14 0.1147 0.4214 0.2486
O15 0.1164 0.2476 0.9334
O16 0.1165 0.4139 0.5347
O17 0.1156 0.5768 0.9786
O18 0.1163 0.9198 0.3141
O19 0.1170 0.7504 0.8658
O20 0.1184 0.7492 0.5783
O21 0.1187 0.9189 0.6001
O22 0.1203 0.2506 0.6480
O23 0.1210 0.0881 0.9209
O24 0.1228 0.5790 0.2643
O25 0.1694 0.3461 0.0308
O26 0.1762 0.3202 0.1455
O27 0.1765 0.3503 0.7523
O28 0.1775 0.6774 0.0799
O29 0.1801 0.6466 0.7683
O30 0.1826 0.3202 0.4289
O31 0.1861 0.9849 0.0977
O32 0.1974 0.0123 0.7042
O33 0.1974 0.0136 0.4196
O34 0.1966 0.6549 0.4780
O35 0.1982 0.9807 0.8114
O36 0.1986 0.6837 0.3712
O37 0.3080 0.1836 0.8720
O38 0.3090 0.4807 0.3106
O39 0.3115 0.5118 0.2034
O40 0.3106 0.5136 0.9196
O41 0.3144 0.1556 0.9786
- - -

Done
1